On January 30th I was fortunate enough to be able to attend the National Business Aircraft Association’s Regional Forum in Boca Raton, Florida on behalf of Embry-Riddle. The exhibitor area and static display ramp were sold out with over 80 vendors and 20 aircraft.

- - -
Entry 1:
This entry pairs a crystal structure of CdInSbI with its theoretical powder XRD pattern. Radiation: Cu Kα. Structure: a GGA-PBE-relaxed structure.
Peak positions follow from Bragg's law for the DFT cell and can differ from measured ones.

Atomic structure:
```
data_CdInSbI
_cell_length_a 8.107
_cell_length_b 4.676
_cell_length_c 8.779
_cell_angle_alpha 90.00
_cell_angle_beta 107.74
_cell_angle_gamma 90.00
_symmetry_space_group_name_H-M 'C 1 m 1'
_symmetry_Int_Tables_number 8
loop_
_symmetry_equiv_pos_as_xyz
'x,y,z'
'x,-y,z'
'x+1/2,y+1/2,z'
'x+1/2,-y+1/2,z'
loop_
_atom_site_label
_atom_site_type_symbol
_atom_site_fract_x
_atom_site_fract_y
_atom_site_fract_z
Cd1 Cd 0.000 0.000 0.000
In1 In 0.487 0.000 0.456
Sb1 Sb 0.114 0.000 0.335
I1 I 0.276 0.000 0.825
```

Main lines, in order of rising 2θ (10 to 90 degrees two-theta):
| hkl | 2θ (°) | I (rel.) |
| --- | --- | --- |
| 0 0 2 | 21.25 | 54.0 |
| 2 0 -1 | 22.22 | 92.5 |
| 1 1 -1 | 23.07 | 34.3 |
| 2 0 -2 | 26.19 | 60.8 |
| 1 1 -2 | 28.31 | 46.0 |
| 1 1 -3 | 36.26 | 39.0 |
| 0 2 0 | 38.48 | 100.0 |
| 2 0 -4 | 42.38 | 31.4 |



Entry 2:
This entry pairs a crystal structure of NaMg8In4 with its theoretical powder XRD pattern. Radiation: Cu Kα. Structure: a GGA-PBE-relaxed structure.
Peak positions follow from Bragg's law for the DFT cell and can differ from measured ones.

Atomic structure:
```
data_NaMg8In4
_cell_length_a 4.386
_cell_length_b 4.438
_cell_length_c 17.264
_cell_angle_alpha 90.00
_cell_angle_beta 90.00
_cell_angle_gamma 90.00
_symmetry_space_group_name_H-M 'P m m 2'
_symmetry_Int_Tables_number 25
loop_
_symmetry_equiv_pos_as_xyz
'x,y,z'
'-x,-y,z'
'-x,y,z'
'x,-y,z'
loop_
_atom_site_label
_atom_site_type_symbol
_atom_site_fract_x
_atom_site_fract_y
_atom_site_fract_z
Na1 Na 0.000 0.000 0.000
Mg1 Mg 0.000 0.000 0.560
Mg2 Mg 0.000 0.000 0.818
Mg3 Mg 0.000 0.500 0.154
Mg4 Mg 0.000 0.500 0.695
Mg5 Mg 0.500 0.000 0.156
Mg6 Mg 0.500 0.000 0.422
Mg7 Mg 0.500 0.500 0.290
Mg8 Mg 0.500 0.500 0.558
In1 In 0.000 0.000 0.287
In2 In 0.000 0.500 0.430
In3 In 0.500 0.000 0.690
In4 In 0.500 0.500 0.845
```

Main lines, in order of rising 2θ (10 to 90 degrees two-theta):
| hkl | 2θ (°) | I (rel.) |
| --- | --- | --- |
| 0 0 2 | 10.25 | 54.1 |
| 1 0 1 | 20.90 | 48.4 |
| 0 1 2 | 22.53 | 25.9 |
| 0 1 3 | 25.34 | 29.8 |
| 1 1 3 | 32.65 | 55.5 |
| 1 1 4 | 35.51 | 100.0 |
| 0 0 7 | 36.43 | 23.5 |
| 0 2 0 | 40.66 | 23.5 |

=====

Cd2Mo8C3N3: computed X-ray diffraction stick pattern (Cu Ka), based on DFT lattice parameters and positions (GGA-PBE).
Kinematic intensities with the Lorentz-polarization factor, no thermal factor.

Cell and atoms:
Cell lengths 3.1077, 3.1077, 24.0915 Å; angles 90.00, 90.00, 120.00 degrees
Space group P-3m1 (No. 164)
Inequivalent atoms, fractional coordinates:
Cd 0.3333 0.6667 0.2514 x2
Mo 0.0000 0.0000 0.1488 x2
Mo 0.0000 0.0000 0.3516 x2
Mo 0.3333 0.6667 0.0547 x2
Mo 0.3333 0.6667 0.4524 x2
C 0.0000 0.0000 0.0000 x1
C 0.3333 0.6667 0.8924 x2
N 0.0000 0.0000 0.5000 x1
- - -
The exhibitor area was packed with vendors and potential customers alike, really putting a positive vibe over the whole event.
The advances in technology were at the forefront in the static display area with Cessna showing off its newest revision Sovereign aircraft alongside its TTx piston rocketship and Gulfstream bringing its G280 demonstrator. Turboprop aircraft were also shown off including a new Quest Kodiak, a Beech King Air 250, and the ever pleasing Piaggio Avanti II, rounding out the new aircraft contingent. On the technology side, FltPlan.com was there supporting their online and mobile flight planning applications and many vendors were selling new iPad and wireless capable apps for everything from flight and performance planning to inflight wifi. The ever changing technology is sure driving the revived business and general aviation markets!

Technological advances are really driving the business and general aviation markets as a whole. New flight deck systems such as this Garmin system in a new Cessna Citation M2 are not only making pilot’s jobs easier, but also making flights more safe and reliable.
The real purpose of traveling down to Boca was to interview five industry officials and get their take on the state of business and general aviation as a whole and maybe provide some insight into the future. First I heard from Gil Wolin of Wolin Aviation Consulting, a man that grew up in the back of his dad’s V-tail Bonanza and has been in the industry for over 70 years. He brought up the points that aircraft sales are up and that new aircraft are driving these numbers even higher, validating my point that new technology is again driving a prominent industry in a time of uncertainty. We then heard from Mr. Steve Johns, an aviation insurance broker from Michigan with over 25 years of experience in the industry. Mr. Johns spoke about insurance rates and that they are decreasing and have been for some time now, helping the unstable market in these times. Mike O’Keeffe from Banyan Air Service also spoke with us about FBO and aircraft sales being positive in late 2013 and early 2014, again showing good signs for our industry at the moment.
To wrap this all up I just want to reassert that general aviation is such an important piece in the global economy. It isn’t only a thing of pleasure, it is a definite business tool for everyone from middle managers to top level management in all sorts of industries. Flying in an airplane is a true form of being able to time travel, something that people have been dreaming about for quite some time. Being able to travel anywhere quicker than the airlines, get closer to the destination you are really going to, and still have an office to work in with wifi connectivity makes business aviation a go-to answer for any sized company or family really. Thanks to organizations like NBAA, AOPA, and EAA and initiatives like No Plane No Gain, general aviation is on an upswing and might once again return to its glory days.
What comes next are crystal structures, not part of the text >
'''
NaCo3P3O13: simulated X-ray diffraction stick pattern (a wavelength of 1.5418 Å), based on a PBE+U-relaxed structure.
Neutral-atom scattering factors, no anomalous dispersion.

```
data_NaCo3P3O13
_chemical_formula_sum 'Na2 Co6 P6 O26'
_cell_length_a 7.4880
_cell_length_b 6.1961
_cell_length_c 10.5794
_cell_angle_alpha 90.00
_cell_angle_beta 99.80
_cell_angle_gamma 90.00
_space_group_name_H-M_alt 'P 1 21/m 1'
_space_group_IT_number 11
loop_
_space_group_symop_operation_xyz
'x,y,z'
'-x,-y,-z'
'-x,y+1/2,-z'
'x,-y+1/2,z'
loop_
_atom_site_label
_atom_site_type_symbol
_atom_site_fract_x
_atom_site_fract_y
_atom_site_fract_z
Na1 Na 0.1722 0.2500 0.1975
Co1 Co 0.1273 0.2500 0.8038
Co2 Co 0.2801 0.7500 0.4432
Co3 Co 0.5000 0.0000 0.0000
P1 P 0.1953 0.7500 0.1141
P2 P 0.2465 0.7500 0.7643
P3 P 0.2815 0.2500 0.5242
O1 O 0.0013 0.2500 0.9610
O2 O 0.1279 0.5542 0.7893
O3 O 0.1460 0.2500 0.6169
O4 O 0.1580 0.7500 0.2554
O5 O 0.2436 0.0520 0.4325
O6 O 0.2994 0.5423 0.0903
O7 O 0.3055 0.7500 0.6338
O8 O 0.3821 0.2500 0.9180
O9 O 0.4177 0.7500 0.8721
O10 O 0.4783 0.2500 0.5976
```

The 6 most intense peaks (2θ from 10° to 90°), in order of rising 2θ:
| two_theta | I (rel.) | h k l |
| --- | --- | --- |
| 16.64 | 46 | 0 1 1 |
| 19.10 | 100 | 1 0 -2 |
| 24.14 | 66 | 2 0 0 |
| 26.97 | 58 | 2 0 1 |
| 28.82 | 62 | 0 2 0 |
| 30.24 | 62 | 1 0 3 |

~~~~~

The following is a calculated powder X-ray diffraction pattern of CdPPdO. It was derived from a DFT-relaxed cell (GGA-PBE, OQMD), using Cu Kα, 1.54184 Å.
No peak broadening, texture or thermal motion is included.

Top 12 peaks for 2θ = 15–90°, low angle first:
2theta	d/Å	I_rel
22.78	3.904	56
31.38	2.850	71
32.45	2.759	100
38.24	2.353	18
40.87	2.208	20
43.38	2.086	56
49.55	1.840	26
54.52	1.683	28
56.54	1.628	41
63.03	1.475	17
72.70	1.301	19
89.72	1.093	19

Unit cell a=4.171 b=4.171 c=7.808 alpha=90.00 beta=90.00 gamma=90.00
Positions (direct):
Cd (0.250, 0.250, 0.094)
Cd (0.750, 0.750, 0.906)
P (0.250, 0.250, 0.651)
P (0.750, 0.750, 0.349)
Pd (0.250, 0.750, 0.500)
Pd (0.750, 0.250, 0.500)
O (0.250, 0.750, 0.000)
O (0.750, 0.250, 0.000)

=====

The following is a calculated powder X-ray diffraction pattern of Cd2P2PdO8. It was derived from a DFT-relaxed cell (GGA-PBE, OQMD), using Cu Kα, 1.54184 Å.
No peak broadening, texture or thermal motion is included.

Top 12 peaks for 2θ = 15–90°, low angle first:
2theta	d/Å	I_rel
21.32	4.168	28
23.07	3.854	36
23.73	3.749	77
24.65	3.612	53
27.44	3.251	24
28.41	3.141	100
30.58	2.923	80
33.10	2.707	36
34.24	2.619	54
37.69	2.387	40
38.02	2.366	25
41.46	2.178	33

Unit cell a=4.810 b=5.658 c=6.774 alpha=74.76 beta=85.90 gamma=69.55
Positions (direct):
Cd (0.205, 0.226, 0.188)
Cd (0.795, 0.774, 0.812)
P (0.127, 0.174, 0.720)
P (0.873, 0.826, 0.280)
Pd (0.500, 0.500, 0.500)
O (0.113, 0.364, 0.850)
O (0.189, 0.821, 0.329)
O (0.263, 0.266, 0.509)
O (0.297, 0.891, 0.832)
O (0.703, 0.109, 0.168)
O (0.737, 0.734, 0.491)
O (0.811, 0.179, 0.671)
O (0.887, 0.636, 0.150)

=====
'''
End of the crystal structures >
For more coverage of the NBAA event in Boca and other ERAU College of Business and aviation news, join me on the new COB Report video series on our YouTube channel at youtube.com/user/eraubusiness and view our newest video recap on the NBAA event in Boca Raton (http://www.youtube.com/watch?v=_lmefabO_nI).
• Here the page breaks off for records of crystals:
=====
(1)
Computed PXRD pattern of AcTbPr2Nd6 for Cu Kα X-rays, from a structure optimized by DFT (GGA-PBE).
Peak positions follow from Bragg's law for the DFT cell and can differ from measured ones.

Top 12 peaks for 2θ from 10° to 90°, low angle first:
2θ/deg  I/Imax
27.29  509
29.46  360
29.65  457
29.99  1000
30.43  311
31.03  155
32.70  437
33.54  117
45.17  103
52.18  101
57.23  128
60.28  108

Crystal structure
```
AcTbPr2Nd6
1.0
4.7032 -7.8649 0.0000
4.7032 7.8649 0.0000
-1.0977 0.0000 9.8587
Ac Tb Pr Nd
2 2 4 12
Direct
0.0222 0.9778 0.7500 Ac
0.9778 0.0222 0.2500 Ac
0.4099 0.5901 0.2500 Tb
0.5901 0.4099 0.7500 Tb
0.1971 0.3115 0.5447 Pr
0.3115 0.1971 0.0447 Pr
0.6885 0.8029 0.9553 Pr
0.8029 0.6885 0.4553 Pr
0.0163 0.5638 0.6883 Nd
0.1281 0.7467 0.0546 Nd
0.2533 0.8719 0.4454 Nd
0.2914 0.5014 0.8829 Nd
0.4362 0.9837 0.8117 Nd
0.4986 0.7086 0.6171 Nd
0.5014 0.2914 0.3829 Nd
0.5638 0.0163 0.1883 Nd
0.7086 0.4986 0.1171 Nd
0.7467 0.1281 0.5546 Nd
0.8719 0.2533 0.9454 Nd
0.9837 0.4362 0.3117 Nd
```

(2)
Computed PXRD pattern of Tl2ZnCdAg for Cu Kα X-rays, from a structure optimized by DFT (GGA-PBE).
Peak positions follow from Bragg's law for the DFT cell and can differ from measured ones.

Top 12 peaks for 2θ from 10° to 90°, low angle first:
2θ/deg  I/Imax
28.25  529
30.22  633
31.76  316
32.57  537
33.65  570
34.16  1000
36.38  736
36.77  273
37.87  696
40.10  350
40.34  270
53.81  268

Crystal structure
```
Tl2ZnCdAg
1.0
3.3150 0.0000 0.0000
-1.5545 5.5523 0.0000
-0.3897 -0.8842 6.4319
Tl Zn Cd Ag
2 1 1 1
Direct
0.0000 0.0000 0.0000 Tl
0.3595 0.4719 0.7430 Tl
0.6932 0.2743 0.3601 Zn
0.0148 0.9014 0.5083 Cd
0.3294 0.5906 0.2051 Ag
```

(3)
Computed PXRD pattern of Ho6VSn10 for Cu Kα X-rays, from a structure optimized by DFT (GGA-PBE).
Peak positions follow from Bragg's law for the DFT cell and can differ from measured ones.

Top 12 peaks for 2θ from 10° to 90°, low angle first:
2θ/deg  I/Imax
24.38  136
29.06  172
30.08  211
33.51  1000
34.23  410
35.28  675
42.47  165
44.08  137
49.97  168
54.41  214
66.86  217
71.14  97

Crystal structure
```
Ho6VSn10
1.0
9.0749 0.0000 0.0000
-4.5374 7.8591 0.0000
0.0000 0.0000 6.1455
Ho V Sn
6 1 10
Direct
0.0000 0.3919 0.2463 Ho
0.0000 0.6081 0.7537 Ho
0.3919 0.0000 0.2463 Ho
0.3919 0.3919 0.7537 Ho
0.6081 0.0000 0.7537 Ho
0.6081 0.6081 0.2463 Ho
0.0000 0.0000 0.0000 V
0.0000 0.2304 0.7181 Sn
0.0000 0.7696 0.2819 Sn
0.2304 0.0000 0.7181 Sn
0.2304 0.2304 0.2819 Sn
0.3333 0.6667 0.0000 Sn
0.3333 0.6667 0.5000 Sn
0.6667 0.3333 0.0000 Sn
0.6667 0.3333 0.5000 Sn
0.7696 0.0000 0.2819 Sn
0.7696 0.7696 0.7181 Sn
```

(4)
Computed PXRD pattern of Sm2Dy2Co for Cu Kα X-rays, from a structure optimized by DFT (GGA-PBE).
Peak positions follow from Bragg's law for the DFT cell and can differ from measured ones.

Top 12 peaks for 2θ from 10° to 90°, low angle first:
2θ/deg  I/Imax
27.10  708
29.71  334
34.46  1000
37.16  587
46.13  177
48.28  355
53.57  204
60.27  163
61.05  149
62.46  165
65.27  310
84.85  128
=====
• Back to the page:
Happy flying,